### Contents
=====
Record 1
The following is a quantum chemistry calculation of C62H51O6P3SSiSr as an isolated structure in a non-equilibrium geometry, from OMol25.

Cartesian coordinates (Å):
Sr: 1.798 -0.104 0.264
C: 2.495 6.194 -2.236
C: 2.285 5.569 -3.452
C: 1.637 4.344 -3.458
C: 1.215 3.742 -2.245
C: 1.450 4.454 -1.070
C: 2.076 5.658 -1.053
P: 0.278 2.175 -2.014
C: 0.085 1.573 -3.688
C: -1.070 1.786 -4.466
C: -1.059 1.347 -5.772
C: -0.010 0.639 -6.355
C: 1.031 0.301 -5.537
C: 1.059 0.832 -4.260
C: -1.283 2.876 -1.377
C: -1.737 4.170 -1.673
C: -2.712 4.805 -0.947
C: -3.340 4.067 0.053
C: -3.060 2.717 0.207
C: -2.053 2.053 -0.525
Si: -1.501 0.206 -0.200
C: -2.838 -0.378 1.129
C: -3.993 -1.116 0.868
C: -4.871 -1.596 1.838
C: -4.581 -1.305 3.134
C: -3.589 -0.385 3.439
C: -2.673 -0.005 2.479
P: -1.033 0.915 2.855
C: -0.863 0.196 4.549
C: -0.933 0.786 5.769
C: -0.888 0.000 6.928
C: -0.791 -1.384 6.900
C: -0.732 -2.016 5.655
C: -0.728 -1.241 4.510
C: -1.567 2.619 3.215
C: -0.606 3.550 2.851
C: -0.881 4.904 3.148
C: -1.984 5.169 3.897
C: -3.024 4.212 4.125
C: -2.851 2.957 3.640
C: -2.076 -0.403 -1.917
C: -3.271 0.044 -2.478
C: -3.660 -0.283 -3.759
C: -2.871 -1.074 -4.531
C: -1.731 -1.669 -4.019
C: -1.341 -1.403 -2.686
P: 0.123 -2.114 -1.917
C: 0.934 -3.006 -3.316
C: 2.156 -2.457 -3.672
C: 2.855 -3.011 -4.712
C: 2.343 -4.143 -5.374
C: 1.151 -4.742 -4.990
C: 0.509 -4.240 -3.877
C: -0.434 -3.474 -0.891
C: 0.530 -4.418 -0.456
C: 0.150 -5.372 0.484
C: -1.080 -5.334 1.073
C: -2.018 -4.360 0.687
C: -1.651 -3.444 -0.285
H: 3.087 7.093 -2.163
H: 2.601 6.052 -4.332
H: 1.362 3.867 -4.350
H: 1.048 4.029 -0.087
H: 2.272 6.224 -0.104
H: -1.919 2.381 -4.076
H: -2.009 1.448 -6.301
H: -0.035 0.343 -7.397
H: 1.906 -0.265 -5.920
H: 2.003 0.648 -3.711
H: -1.187 4.765 -2.385
H: -3.067 5.792 -1.107
H: -4.155 4.516 0.595
H: -3.787 2.210 0.804
H: -4.326 -1.372 -0.171
H: -5.689 -2.198 1.522
H: -5.245 -1.596 3.958
H: -3.459 -0.198 4.519
H: -1.104 1.871 5.754
H: -0.887 0.422 7.897
H: -0.662 -1.962 7.785
H: -0.697 -3.057 5.682
H: -0.757 -1.752 3.556
H: 0.251 3.302 2.238
H: -0.137 5.722 2.997
H: -2.086 6.095 4.437
H: -4.019 4.521 4.352
H: -3.671 2.208 3.677
H: -3.955 0.781 -2.004
H: -4.606 0.119 -4.137
H: -3.180 -1.313 -5.505
H: -1.099 -2.237 -4.707
H: 2.557 -1.560 -3.178
H: 3.801 -2.622 -4.959
H: 2.993 -4.558 -6.095
H: 0.790 -5.627 -5.521
H: -0.472 -4.660 -3.463
H: 1.605 -4.406 -0.830
H: 0.902 -6.104 0.760
H: -1.451 -6.229 1.611
H: -3.009 -4.245 1.155
H: -2.327 -2.699 -0.680
O: 4.920 0.286 3.288
C: 4.041 -0.445 2.861
O: 2.854 -0.105 2.430
C: 4.281 -1.939 2.959
C: 4.667 -2.279 4.242
C: 4.920 -3.601 4.666
C: 4.873 -4.629 3.691
C: 4.462 -4.292 2.431
C: 4.129 -2.979 1.963
S: 3.384 -2.883 0.340
H: 4.799 -1.461 4.961
H: 5.270 -3.836 5.687
H: 4.966 -5.658 3.975
H: 4.414 -5.093 1.719
O: 0.939 -2.095 1.778
H: 1.677 -1.851 2.389
H: 1.335 -2.856 1.271
O: 4.741 1.752 -1.263
C: 4.421 0.675 -1.881
O: 3.376 0.066 -1.693
H: 5.131 0.277 -2.614
O: 2.770 2.471 0.727
H: 3.510 2.336 0.005
H: 3.162 2.002 1.464

Computed properties:
Frontier orbital gap in eV: 5.792
2S+1: 1
E_HOMO in hartree: -0.06604
LUMO in Eh: 0.14682
Charge: -2



Record 2
The following is a quantum chemistry calculation of C29H40MgN5O4 as an isolated structure, from OMol25.

Cartesian coordinates (Å):
Mg: -1.143 0.131 -0.554
C: -3.507 2.727 2.191
C: -3.177 1.963 0.941
O: -2.155 1.263 0.871
N: -4.044 2.067 -0.072
C: -3.925 1.357 -1.343
C: -2.912 1.986 -2.265
C: -3.294 2.793 -3.320
C: -2.312 3.377 -4.108
C: -0.984 3.138 -3.806
C: -0.686 2.310 -2.736
N: -1.626 1.738 -1.983
H: -2.696 2.609 2.903
H: -4.433 2.353 2.627
H: -3.642 3.786 1.970
H: -4.805 2.719 0.035
H: -4.910 1.345 -1.805
H: -3.676 0.310 -1.150
H: -4.344 2.956 -3.525
H: -2.584 4.005 -4.945
H: -0.184 3.569 -4.390
H: 0.340 2.081 -2.476
N: -1.461 -1.500 1.044
C: -1.639 -2.897 0.566
C: -2.517 -3.009 -0.679
C: -1.807 -2.489 -1.937
O: -1.708 -3.168 -2.932
O: -1.306 -1.307 -1.769
H: -0.783 -1.498 1.803
H: -2.328 -1.197 1.481
H: -2.063 -3.511 1.364
H: -0.651 -3.302 0.342
=====

### What to do
Search the entries above for the word "as" and echo each line that has it.

### Completed
The following is a quantum chemistry calculation of C62H51O6P3SSiSr as an isolated structure in a non-equilibrium geometry, from OMol25.
The following is a quantum chemistry calculation of C29H40MgN5O4 as an isolated structure, from OMol25.